Contents.
********
Material: Co2AuIO
Method: DFT, GGA+U
State: optimized geometry

The total magnetic moment is 4.62 μB per formula unit. The calculation puts the total energy at -2.574 eV per atom.

The space group is P4/mmm (No. 123) and the conventional cell measures 4.938, 4.938 and 5.293 Å, with angles of 90.00, 90.00 and 90.00 degrees. Symmetry generates all atoms from Co at (0.000, 0.500, 0.000), Au at (0.000, 0.000, 0.500), I at (0.000, 0.000, 0.000) and O at (0.500, 0.500, 0.500).

=====

[1]
PrNd2YTm5 | PBE | optimized geometry

Values from the calculation:
Uncorrected energy, eV/atom: -4.534
SG: I4/mcm, No. 140
Energy relative to the elements, meV per atom: 259

Unit cell a=9.8451 b=9.8451 c=9.8451 alpha=127.39 beta=127.39 gamma=77.62
Last column: nearest neighbours and their distance in Å.
Fractional positions:
1 Pr 0.2500 0.2500 0.0000  10 Tm 3.57-3.84
2 Pr 0.7500 0.7500 0.0000  10 Tm 3.57-3.84
3 Nd 0.1164 0.6164 0.7328  1 Nd 2.87, 2 Tm 3.00
4 Nd 0.3836 0.1164 0.5000  1 Nd 2.87, 2 Tm 3.00
5 Nd 0.6164 0.8836 0.5000  1 Nd 2.87, 2 Tm 3.00
6 Nd 0.8836 0.3836 0.2672  1 Nd 2.87, 2 Tm 3.00
7 Y 0.2500 0.7500 0.5000  4 Tm 3.12
8 Y 0.7500 0.2500 0.5000  4 Tm 3.12
9 Tm 0.0000 0.0000 0.0000  4 Nd 3.50, 8 Tm 3.77, 2 Pr 3.84
10 Tm 0.0736 0.1520 0.5000  1 Nd 3.00, 1 Y 3.12
11 Tm 0.1520 0.6520 0.0784  1 Nd 3.00, 1 Y 3.12
12 Tm 0.3480 0.4264 0.5000  1 Nd 3.00, 1 Y 3.12
13 Tm 0.4264 0.9264 0.0784  1 Nd 3.00, 1 Y 3.12
14 Tm 0.5000 0.5000 0.0000  4 Nd 3.50, 8 Tm 3.77, 2 Pr 3.84
15 Tm 0.5736 0.0736 0.9216  1 Nd 3.00, 1 Y 3.12
16 Tm 0.6520 0.5736 0.5000  1 Nd 3.00, 1 Y 3.12
17 Tm 0.8480 0.3480 0.9216  1 Nd 3.00, 1 Y 3.12
18 Tm 0.9264 0.8480 0.5000  1 Nd 3.00, 1 Y 3.12

[2]
Pr3NdY2Tm6 | PBE | optimized geometry

Values from the calculation:
Uncorrected energy, eV/atom: -4.882
SG: C2/m, No. 12
Energy relative to the elements, meV per atom: 23

Unit cell a=6.2057 b=6.2057 c=11.7652 alpha=95.04 beta=95.04 gamma=120.00
Last column: nearest neighbours and their distance in Å.
Fractional positions:
1 Pr 0.0000 0.0000 0.0000  6 Tm 3.58, 6 Pr 3.58
2 Pr 0.3332 0.6668 0.0000  6 Tm 3.58, 6 Pr 3.58-3.59
3 Pr 0.6668 0.3332 0.0000  6 Tm 3.58, 6 Pr 3.58-3.59
4 Nd 0.5000 0.5000 0.5000  6 Tm 3.54, 6 Y 3.58
5 Y 0.1668 0.8332 0.5000  6 Tm 3.54, 3 Y 3.58, 3 Nd 3.58
6 Y 0.8332 0.1668 0.5000  6 Tm 3.54, 3 Y 3.58, 3 Nd 3.58
7 Tm 0.0841 0.4172 0.2521  1 Nd 3.54, 2 Y 3.54, 3 Pr 3.58, 6 Tm 3.58
8 Tm 0.2497 0.2497 0.7479  1 Nd 3.54, 2 Y 3.54, 3 Pr 3.58, 6 Tm 3.58
9 Tm 0.4172 0.0841 0.2521  1 Nd 3.54, 2 Y 3.54, 3 Pr 3.58, 6 Tm 3.58
10 Tm 0.5828 0.9159 0.7479  1 Nd 3.54, 2 Y 3.54, 3 Pr 3.58, 6 Tm 3.58
11 Tm 0.7503 0.7503 0.2521  1 Nd 3.54, 2 Y 3.54, 3 Pr 3.58, 6 Tm 3.58
12 Tm 0.9159 0.5828 0.7479  1 Nd 3.54, 2 Y 3.54, 3 Pr 3.58, 6 Tm 3.58

[3]
PrNd2Y6Tm2 | PBE | optimized geometry

Values from the calculation:
Uncorrected energy, eV/atom: -5.488
SG: C2/m, No. 12
Energy relative to the elements, meV per atom: 152

Unit cell a=6.6715 b=6.6715 c=10.7504 alpha=90.06 beta=90.06 gamma=129.43
Last column: nearest neighbours and their distance in Å.
Fractional positions:
1 Pr 0.0000 0.0000 0.0000  8 Y 3.60-3.66, 6 Tm 3.62-3.73
2 Nd 0.3641 0.6359 0.5000  1 Nd 3.28, 6 Y 3.42-3.67
3 Nd 0.6359 0.3641 0.5000  1 Nd 3.28, 6 Y 3.42-3.67
4 Y 0.1533 0.8434 0.2858  3 Nd 3.42-3.67, 5 Y 3.50-3.74, 1 Tm 3.54, 1 Pr 3.60
5 Y 0.1566 0.8467 0.7142  3 Nd 3.42-3.67, 5 Y 3.50-3.74, 1 Tm 3.54, 1 Pr 3.60
6 Y 0.4983 0.4983 0.2116  2 Tm 3.31, 4 Y 3.50, 2 Nd 3.51, 2 Pr 3.63-3.66
7 Y 0.5017 0.5017 0.7884  2 Tm 3.31, 4 Y 3.50, 2 Nd 3.51, 2 Pr 3.63-3.66
8 Y 0.8434 0.1533 0.2858  3 Nd 3.42-3.67, 5 Y 3.50-3.74, 1 Tm 3.54, 1 Pr 3.60
9 Y 0.8467 0.1566 0.7142  3 Nd 3.42-3.67, 5 Y 3.50-3.74, 1 Tm 3.54, 1 Pr 3.60
10 Tm 0.3003 0.6997 0.0000  2 Tm 3.10, 2 Y 3.31
11 Tm 0.6997 0.3003 0.0000  2 Tm 3.10, 2 Y 3.31

[4]
PrNdY2Tm | PBE | optimized geometry

Values from the calculation:
Uncorrected energy, eV/atom: -5.028
SG: Cmcm, No. 63
Energy relative to the elements, meV per atom: 361
********

Exercise.
Could you transcribe the whole of the calculation results further up character by character?

Solution.
Material: Co2AuIO
Method: DFT, GGA+U
State: optimized geometry

The total magnetic moment is 4.62 μB per formula unit. The calculation puts the total energy at -2.574 eV per atom.

The space group is P4/mmm (No. 123) and the conventional cell measures 4.938, 4.938 and 5.293 Å, with angles of 90.00, 90.00 and 90.00 degrees. Symmetry generates all atoms from Co at (0.000, 0.500, 0.000), Au at (0.000, 0.000, 0.500), I at (0.000, 0.000, 0.000) and O at (0.500, 0.500, 0.500).

=====

[1]
PrNd2YTm5 | PBE | optimized geometry

Values from the calculation:
Uncorrected energy, eV/atom: -4.534
SG: I4/mcm, No. 140
Energy relative to the elements, meV per atom: 259

Unit cell a=9.8451 b=9.8451 c=9.8451 alpha=127.39 beta=127.39 gamma=77.62
Last column: nearest neighbours and their distance in Å.
Fractional positions:
1 Pr 0.2500 0.2500 0.0000  10 Tm 3.57-3.84
2 Pr 0.7500 0.7500 0.0000  10 Tm 3.57-3.84
3 Nd 0.1164 0.6164 0.7328  1 Nd 2.87, 2 Tm 3.00
4 Nd 0.3836 0.1164 0.5000  1 Nd 2.87, 2 Tm 3.00
5 Nd 0.6164 0.8836 0.5000  1 Nd 2.87, 2 Tm 3.00
6 Nd 0.8836 0.3836 0.2672  1 Nd 2.87, 2 Tm 3.00
7 Y 0.2500 0.7500 0.5000  4 Tm 3.12
8 Y 0.7500 0.2500 0.5000  4 Tm 3.12
9 Tm 0.0000 0.0000 0.0000  4 Nd 3.50, 8 Tm 3.77, 2 Pr 3.84
10 Tm 0.0736 0.1520 0.5000  1 Nd 3.00, 1 Y 3.12
11 Tm 0.1520 0.6520 0.0784  1 Nd 3.00, 1 Y 3.12
12 Tm 0.3480 0.4264 0.5000  1 Nd 3.00, 1 Y 3.12
13 Tm 0.4264 0.9264 0.0784  1 Nd 3.00, 1 Y 3.12
14 Tm 0.5000 0.5000 0.0000  4 Nd 3.50, 8 Tm 3.77, 2 Pr 3.84
15 Tm 0.5736 0.0736 0.9216  1 Nd 3.00, 1 Y 3.12
16 Tm 0.6520 0.5736 0.5000  1 Nd 3.00, 1 Y 3.12
17 Tm 0.8480 0.3480 0.9216  1 Nd 3.00, 1 Y 3.12
18 Tm 0.9264 0.8480 0.5000  1 Nd 3.00, 1 Y 3.12

[2]
Pr3NdY2Tm6 | PBE | optimized geometry

Values from the calculation:
Uncorrected energy, eV/atom: -4.882
SG: C2/m, No. 12
Energy relative to the elements, meV per atom: 23

Unit cell a=6.2057 b=6.2057 c=11.7652 alpha=95.04 beta=95.04 gamma=120.00
Last column: nearest neighbours and their distance in Å.
Fractional positions:
1 Pr 0.0000 0.0000 0.0000  6 Tm 3.58, 6 Pr 3.58
2 Pr 0.3332 0.6668 0.0000  6 Tm 3.58, 6 Pr 3.58-3.59
3 Pr 0.6668 0.3332 0.0000  6 Tm 3.58, 6 Pr 3.58-3.59
4 Nd 0.5000 0.5000 0.5000  6 Tm 3.54, 6 Y 3.58
5 Y 0.1668 0.8332 0.5000  6 Tm 3.54, 3 Y 3.58, 3 Nd 3.58
6 Y 0.8332 0.1668 0.5000  6 Tm 3.54, 3 Y 3.58, 3 Nd 3.58
7 Tm 0.0841 0.4172 0.2521  1 Nd 3.54, 2 Y 3.54, 3 Pr 3.58, 6 Tm 3.58
8 Tm 0.2497 0.2497 0.7479  1 Nd 3.54, 2 Y 3.54, 3 Pr 3.58, 6 Tm 3.58
9 Tm 0.4172 0.0841 0.2521  1 Nd 3.54, 2 Y 3.54, 3 Pr 3.58, 6 Tm 3.58
10 Tm 0.5828 0.9159 0.7479  1 Nd 3.54, 2 Y 3.54, 3 Pr 3.58, 6 Tm 3.58
11 Tm 0.7503 0.7503 0.2521  1 Nd 3.54, 2 Y 3.54, 3 Pr 3.58, 6 Tm 3.58
12 Tm 0.9159 0.5828 0.7479  1 Nd 3.54, 2 Y 3.54, 3 Pr 3.58, 6 Tm 3.58

[3]
PrNd2Y6Tm2 | PBE | optimized geometry

Values from the calculation:
Uncorrected energy, eV/atom: -5.488
SG: C2/m, No. 12
Energy relative to the elements, meV per atom: 152

Unit cell a=6.6715 b=6.6715 c=10.7504 alpha=90.06 beta=90.06 gamma=129.43
Last column: nearest neighbours and their distance in Å.
Fractional positions:
1 Pr 0.0000 0.0000 0.0000  8 Y 3.60-3.66, 6 Tm 3.62-3.73
2 Nd 0.3641 0.6359 0.5000  1 Nd 3.28, 6 Y 3.42-3.67
3 Nd 0.6359 0.3641 0.5000  1 Nd 3.28, 6 Y 3.42-3.67
4 Y 0.1533 0.8434 0.2858  3 Nd 3.42-3.67, 5 Y 3.50-3.74, 1 Tm 3.54, 1 Pr 3.60
5 Y 0.1566 0.8467 0.7142  3 Nd 3.42-3.67, 5 Y 3.50-3.74, 1 Tm 3.54, 1 Pr 3.60
6 Y 0.4983 0.4983 0.2116  2 Tm 3.31, 4 Y 3.50, 2 Nd 3.51, 2 Pr 3.63-3.66
7 Y 0.5017 0.5017 0.7884  2 Tm 3.31, 4 Y 3.50, 2 Nd 3.51, 2 Pr 3.63-3.66
8 Y 0.8434 0.1533 0.2858  3 Nd 3.42-3.67, 5 Y 3.50-3.74, 1 Tm 3.54, 1 Pr 3.60
9 Y 0.8467 0.1566 0.7142  3 Nd 3.42-3.67, 5 Y 3.50-3.74, 1 Tm 3.54, 1 Pr 3.60
10 Tm 0.3003 0.6997 0.0000  2 Tm 3.10, 2 Y 3.31
11 Tm 0.6997 0.3003 0.0000  2 Tm 3.10, 2 Y 3.31

[4]
PrNdY2Tm | PBE | optimized geometry

Values from the calculation:
Uncorrected energy, eV/atom: -5.028
SG: Cmcm, No. 63
Energy relative to the elements, meV per atom: 361